_To do_
Now print all of the entries further below word for word.

_Listing_
- - -
Computed, not measured: a geometry-optimized BiPS4 structure at the r²SCAN level of DFT.

abc: 12.558 12.558 12.557
angles: 129.84 127.04 75.94
Atoms (fractional coordinates):
S 0.594 0.884 0.985
S 0.346 0.911 0.586
S 0.846 0.260 0.436
S 0.175 0.240 0.086
S 0.881 0.585 0.482
S 0.397 0.601 0.982
S 0.897 0.915 0.797
S 0.325 0.410 0.064
S 0.898 0.384 0.790
S 0.903 0.339 0.073
S 0.398 0.609 0.515
S 0.154 0.740 0.564
S 0.766 0.830 0.427
S 0.102 0.616 0.210
S 0.906 0.891 0.290
S 0.734 0.161 0.064
S 0.406 0.116 0.015
S 0.403 0.330 0.564
S 0.619 0.101 0.703
S 0.094 0.109 0.710
S 0.234 0.170 0.573
S 0.675 0.590 0.936
S 0.602 0.391 0.485
S 0.825 0.760 0.914
S 0.603 0.399 0.018
S 0.654 0.089 0.414
S 0.597 0.670 0.436
S 0.103 0.085 0.203
S 0.266 0.839 0.936
S 0.381 0.899 0.297
S 0.097 0.661 0.927
S 0.119 0.415 0.518
P 0.214 0.250 0.464
P 0.786 0.750 0.536
P 0.250 0.220 0.970
P 0.750 0.780 0.030
P 0.286 0.750 0.036
P 0.714 0.250 0.964
P 0.750 0.280 0.530
P 0.250 0.720 0.470
Bi 0.141 0.891 0.250
Bi 0.859 0.109 0.750
Bi 0.899 0.649 0.250
Bi 0.101 0.351 0.750
Bi 0.359 0.609 0.750
Bi 0.641 0.391 0.250
Bi 0.601 0.851 0.750
Bi 0.399 0.149 0.250

Calculated volume = 1180 Å³/cell
SG = Ibca (73)

***

Computed, not measured: a geometry-optimized Tb2Si3 structure at the r²SCAN level of DFT.

abc: 7.445 7.445 7.445
angles: 149.92 148.49 44.12
Atoms (fractional coordinates):
Tb 0.127 0.627 0.500
Tb 0.373 0.373 0.000
Si 0.800 0.800 0.000
Si 0.701 0.201 0.500
Si 0.534 0.034 0.500

Calculated volume = 108 Å³/cell
SG = Imm2 (44)

***

Computed, not measured: a geometry-optimized PrAgHg2 structure at the r²SCAN level of DFT.

abc: 5.110 5.110 5.110
angles: 60.00 60.00 60.00
Atoms (fractional coordinates):
Hg 0.500 0.500 0.500
Hg 0.000 0.000 0.000
Ag 0.250 0.250 0.250
Pr 0.750 0.750 0.750

Calculated volume = 94 Å³/cell
SG = Fm-3m (225)

***

Computed, not measured: a geometry-optimized Tm2AgHg structure at the r²SCAN level of DFT.

abc: 5.094 5.094 5.094
angles: 60.00 60.00 60.00
Atoms (fractional coordinates):
Ag 0.250 0.250 0.250
Tm 0.000 0.000 0.000
Tm 0.500 0.500 0.500
Hg 0.750 0.750 0.750

Calculated volume = 93 Å³/cell
SG = Fm-3m (225)

***

Computed, not measured: a geometry-optimized Mg44Ir7 structure at the r²SCAN level of DFT.

abc: 14.106 14.106 14.106
angles: 60.00 60.00 60.00
Atoms (fractional coordinates):
Mg 0.519 0.869 0.519
Mg 0.914 0.525 0.280
Mg 0.439 0.684 0.439
Mg 0.519 0.519 0.869
Mg 0.020 0.020 0.665
Mg 0.684 0.439 0.439
Mg 0.644 0.856 0.644
Mg 0.662 0.662 0.233
Mg 0.020 0.665 0.294
Mg 0.856 0.644 0.644
Mg 0.168 0.168 0.168
Mg 0.644 0.644 0.856
Mg 0.665 0.294 0.020
Mg 0.093 0.519 0.519
Mg 0.181 0.181 0.819
Mg 0.020 0.294 0.665
Mg 0.294 0.665 0.020
Mg 0.662 0.233 0.662
Mg 0.662 0.443 0.662
Mg 0.914 0.280 0.280
Mg 0.844 0.052 0.052
Mg 0.052 0.844 0.052
Mg 0.093 0.869 0.519
Mg 0.052 0.052 0.844
Mg 0.443 0.662 0.662
Mg 0.869 0.519 0.093
Mg 0.304 0.088 0.304
Mg 0.785 0.431 0.785
Mg 0.785 0.000 0.785
Mg 0.052 0.052 0.052
Mg 0.000 0.785 0.431
Mg 0.665 0.020 0.294
Mg 0.233 0.662 0.443
Mg 0.093 0.519 0.869
Mg 0.181 0.819 0.819
Mg 0.785 0.000 0.431
Mg 0.665 0.020 0.020
Mg 0.519 0.093 0.519
Mg 0.662 0.233 0.443
Mg 0.869 0.093 0.519
Mg 0.168 0.497 0.168
Mg 0.088 0.304 0.304
Mg 0.000 0.785 0.785
Mg 0.181 0.819 0.181
Mg 0.443 0.662 0.233
Mg 0.914 0.280 0.525
Mg 0.280 0.280 0.525
Mg 0.785 0.431 0.000
Mg 0.168 0.168 0.497
Mg 0.662 0.443 0.233
Mg 0.819 0.181 0.181
Mg 0.443 0.233 0.662
Mg 0.020 0.294 0.020
Mg 0.519 0.869 0.093
Mg 0.294 0.020 0.665
Mg 0.000 0.431 0.785
Mg 0.431 0.785 0.785
Mg 0.431 0.785 0.000
Mg 0.525 0.280 0.914
Mg 0.869 0.519 0.519
Mg 0.644 0.856 0.856
Mg 0.439 0.439 0.684
Mg 0.519 0.093 0.869
Mg 0.819 0.181 0.819
Mg 0.785 0.785 0.431
Mg 0.497 0.168 0.168
Mg 0.439 0.439 0.439
Mg 0.662 0.662 0.443
Mg 0.304 0.304 0.304
Mg 0.525 0.914 0.280
Mg 0.785 0.785 0.000
Mg 0.280 0.914 0.525
Mg 0.020 0.665 0.020
Mg 0.304 0.304 0.088
Mg 0.519 0.519 0.093
Mg 0.233 0.662 0.662
Mg 0.431 0.000 0.785
Mg 0.294 0.020 0.020
Mg 0.819 0.819 0.181
- - -

_Worked solution_
Computed, not measured: a geometry-optimized BiPS4 structure at the r²SCAN level of DFT.

abc: 12.558 12.558 12.557
angles: 129.84 127.04 75.94
Atoms (fractional coordinates):
S 0.594 0.884 0.985
S 0.346 0.911 0.586
S 0.846 0.260 0.436
S 0.175 0.240 0.086
S 0.881 0.585 0.482
S 0.397 0.601 0.982
S 0.897 0.915 0.797
S 0.325 0.410 0.064
S 0.898 0.384 0.790
S 0.903 0.339 0.073
S 0.398 0.609 0.515
S 0.154 0.740 0.564
S 0.766 0.830 0.427
S 0.102 0.616 0.210
S 0.906 0.891 0.290
S 0.734 0.161 0.064
S 0.406 0.116 0.015
S 0.403 0.330 0.564
S 0.619 0.101 0.703
S 0.094 0.109 0.710
S 0.234 0.170 0.573
S 0.675 0.590 0.936
S 0.602 0.391 0.485
S 0.825 0.760 0.914
S 0.603 0.399 0.018
S 0.654 0.089 0.414
S 0.597 0.670 0.436
S 0.103 0.085 0.203
S 0.266 0.839 0.936
S 0.381 0.899 0.297
S 0.097 0.661 0.927
S 0.119 0.415 0.518
P 0.214 0.250 0.464
P 0.786 0.750 0.536
P 0.250 0.220 0.970
P 0.750 0.780 0.030
P 0.286 0.750 0.036
P 0.714 0.250 0.964
P 0.750 0.280 0.530
P 0.250 0.720 0.470
Bi 0.141 0.891 0.250
Bi 0.859 0.109 0.750
Bi 0.899 0.649 0.250
Bi 0.101 0.351 0.750
Bi 0.359 0.609 0.750
Bi 0.641 0.391 0.250
Bi 0.601 0.851 0.750
Bi 0.399 0.149 0.250

Calculated volume = 1180 Å³/cell
SG = Ibca (73)

***

Computed, not measured: a geometry-optimized Tb2Si3 structure at the r²SCAN level of DFT.

abc: 7.445 7.445 7.445
angles: 149.92 148.49 44.12
Atoms (fractional coordinates):
Tb 0.127 0.627 0.500
Tb 0.373 0.373 0.000
Si 0.800 0.800 0.000
Si 0.701 0.201 0.500
Si 0.534 0.034 0.500

Calculated volume = 108 Å³/cell
SG = Imm2 (44)

***

Computed, not measured: a geometry-optimized PrAgHg2 structure at the r²SCAN level of DFT.

abc: 5.110 5.110 5.110
angles: 60.00 60.00 60.00
Atoms (fractional coordinates):
Hg 0.500 0.500 0.500
Hg 0.000 0.000 0.000
Ag 0.250 0.250 0.250
Pr 0.750 0.750 0.750

Calculated volume = 94 Å³/cell
SG = Fm-3m (225)

***

Computed, not measured: a geometry-optimized Tm2AgHg structure at the r²SCAN level of DFT.

abc: 5.094 5.094 5.094
angles: 60.00 60.00 60.00
Atoms (fractional coordinates):
Ag 0.250 0.250 0.250
Tm 0.000 0.000 0.000
Tm 0.500 0.500 0.500
Hg 0.750 0.750 0.750

Calculated volume = 93 Å³/cell
SG = Fm-3m (225)

***

Computed, not measured: a geometry-optimized Mg44Ir7 structure at the r²SCAN level of DFT.

abc: 14.106 14.106 14.106
angles: 60.00 60.00 60.00
Atoms (fractional coordinates):
Mg 0.519 0.869 0.519
Mg 0.914 0.525 0.280
Mg 0.439 0.684 0.439
Mg 0.519 0.519 0.869
Mg 0.020 0.020 0.665
Mg 0.684 0.439 0.439
Mg 0.644 0.856 0.644
Mg 0.662 0.662 0.233
Mg 0.020 0.665 0.294
Mg 0.856 0.644 0.644
Mg 0.168 0.168 0.168
Mg 0.644 0.644 0.856
Mg 0.665 0.294 0.020
Mg 0.093 0.519 0.519
Mg 0.181 0.181 0.819
Mg 0.020 0.294 0.665
Mg 0.294 0.665 0.020
Mg 0.662 0.233 0.662
Mg 0.662 0.443 0.662
Mg 0.914 0.280 0.280
Mg 0.844 0.052 0.052
Mg 0.052 0.844 0.052
Mg 0.093 0.869 0.519
Mg 0.052 0.052 0.844
Mg 0.443 0.662 0.662
Mg 0.869 0.519 0.093
Mg 0.304 0.088 0.304
Mg 0.785 0.431 0.785
Mg 0.785 0.000 0.785
Mg 0.052 0.052 0.052
Mg 0.000 0.785 0.431
Mg 0.665 0.020 0.294
Mg 0.233 0.662 0.443
Mg 0.093 0.519 0.869
Mg 0.181 0.819 0.819
Mg 0.785 0.000 0.431
Mg 0.665 0.020 0.020
Mg 0.519 0.093 0.519
Mg 0.662 0.233 0.443
Mg 0.869 0.093 0.519
Mg 0.168 0.497 0.168
Mg 0.088 0.304 0.304
Mg 0.000 0.785 0.785
Mg 0.181 0.819 0.181
Mg 0.443 0.662 0.233
Mg 0.914 0.280 0.525
Mg 0.280 0.280 0.525
Mg 0.785 0.431 0.000
Mg 0.168 0.168 0.497
Mg 0.662 0.443 0.233
Mg 0.819 0.181 0.181
Mg 0.443 0.233 0.662
Mg 0.020 0.294 0.020
Mg 0.519 0.869 0.093
Mg 0.294 0.020 0.665
Mg 0.000 0.431 0.785
Mg 0.431 0.785 0.785
Mg 0.431 0.785 0.000
Mg 0.525 0.280 0.914
Mg 0.869 0.519 0.519
Mg 0.644 0.856 0.856
Mg 0.439 0.439 0.684
Mg 0.519 0.093 0.869
Mg 0.819 0.181 0.819
Mg 0.785 0.785 0.431
Mg 0.497 0.168 0.168
Mg 0.439 0.439 0.439
Mg 0.662 0.662 0.443
Mg 0.304 0.304 0.304
Mg 0.525 0.914 0.280
Mg 0.785 0.785 0.000
Mg 0.280 0.914 0.525
Mg 0.020 0.665 0.020
Mg 0.304 0.304 0.088
Mg 0.519 0.519 0.093
Mg 0.233 0.662 0.662
Mg 0.431 0.000 0.785
Mg 0.294 0.020 0.020
Mg 0.819 0.819 0.181